Activity:
What is needed: type out all of the contents underneath with every line break kept.

Listing:
<<<
Diffraction record for Ca2SmCd. The XRD peak list is computed, not measured: it uses DFT lattice parameters and positions (PBE) and Cu Ka.
Neutral-atom scattering factors, no anomalous dispersion.

```
data_Ca2SmCd
_cell_length_a 3.7638
_cell_length_b 3.6487
_cell_length_c 20.2755
_cell_angle_alpha 90.00
_cell_angle_beta 90.00
_cell_angle_gamma 90.00
_symmetry_space_group_name_H-M 'A m m 2'
_symmetry_Int_Tables_number 38
loop_
_symmetry_equiv_pos_as_xyz
'x,y,z'
'-x,-y,z'
'-x,y,z'
'x,-y,z'
'x,y+1/2,z+1/2'
'-x,-y+1/2,z+1/2'
'-x,y+1/2,z+1/2'
'x,-y+1/2,z+1/2'
loop_
_atom_site_label
_atom_site_type_symbol
_atom_site_fract_x
_atom_site_fract_y
_atom_site_fract_z
Ca1 Ca 0.0000 0.0000 0.0000
Ca2 Ca 0.5000 0.0000 0.3530
Sm1 Sm 0.5000 0.0000 0.1592
Cd1 Cd 0.0000 0.0000 0.7540
```

Peak list (10 most intense, 10° ≤ 2θ ≤ 80°, most intense first)
2θ (°), I_rel, hkl
34.52, 100, 1 1 1
29.56, 95, 1 0 4
33.02, 75, 0 1 5
35.71, 37, 1 0 6
27.79, 33, 0 1 3
36.79, 29, 1 1 3
53.66, 29, 1 1 9
59.81, 26, 2 1 5
39.73, 25, 0 1 7
59.16, 25, 1 2 4
>>>

Done:
Diffraction record for Ca2SmCd. The XRD peak list is computed, not measured: it uses DFT lattice parameters and positions (PBE) and Cu Ka.
Neutral-atom scattering factors, no anomalous dispersion.

```
data_Ca2SmCd
_cell_length_a 3.7638
_cell_length_b 3.6487
_cell_length_c 20.2755
_cell_angle_alpha 90.00
_cell_angle_beta 90.00
_cell_angle_gamma 90.00
_symmetry_space_group_name_H-M 'A m m 2'
_symmetry_Int_Tables_number 38
loop_
_symmetry_equiv_pos_as_xyz
'x,y,z'
'-x,-y,z'
'-x,y,z'
'x,-y,z'
'x,y+1/2,z+1/2'
'-x,-y+1/2,z+1/2'
'-x,y+1/2,z+1/2'
'x,-y+1/2,z+1/2'
loop_
_atom_site_label
_atom_site_type_symbol
_atom_site_fract_x
_atom_site_fract_y
_atom_site_fract_z
Ca1 Ca 0.0000 0.0000 0.0000
Ca2 Ca 0.5000 0.0000 0.3530
Sm1 Sm 0.5000 0.0000 0.1592
Cd1 Cd 0.0000 0.0000 0.7540
```

Peak list (10 most intense, 10° ≤ 2θ ≤ 80°, most intense first)
2θ (°), I_rel, hkl
34.52, 100, 1 1 1
29.56, 95, 1 0 4
33.02, 75, 0 1 5
35.71, 37, 1 0 6
27.79, 33, 0 1 3
36.79, 29, 1 1 3
53.66, 29, 1 1 9
59.81, 26, 2 1 5
39.73, 25, 0 1 7
59.16, 25, 1 2 4